### Contents
=====
Arrangement A

Formula: C3H3NO2
Source: OMol25
Level of theory: the ωB97M-V functional and the def2-TZVPD basis

Properties
**LUMO level**: 0.774 eV
**Net charge**: 0
**HOMO-LUMO gap**: 10.30 eV
**HOMO**: -9.53 eV

Structure (XYZ):
```
9
C3H3NO2 (the ωB97M-V functional and the def2-TZVPD basis)
O 0.4339 1.2839 0.3301
C 1.4196 0.5039 -0.1891
O 1.2959 -0.6366 -0.5492
C -0.9514 -0.7733 -0.0264
C -0.7463 0.5472 0.3821
N -1.9263 0.6696 0.7333
H 2.3720 1.0347 -0.2486
H -1.1655 -1.0187 -1.0652
H -0.7319 -1.6107 0.6331
```

Arrangement B

Formula: C3H3NO2
Source: OMol25
Level of theory: the ωB97M-V functional and the def2-TZVPD basis

Properties
**LUMO level**: 0.453 eV
**SMILES**: O=C=N/C=C\O
**Net charge**: 0
**HOMO-LUMO gap**: 9.05 eV
**HOMO**: -8.60 eV

Structure (XYZ):
```
9
C3H3NO2 (the ωB97M-V functional and the def2-TZVPD basis)
O -3.2605 -0.2229 0.1683
C -2.2170 0.2505 -0.0021
N -1.2182 0.8757 -0.0106
C 0.1171 0.7739 -0.1971
C 1.1212 -0.1847 0.0657
O 0.9648 -1.5547 0.3114
H 0.4421 1.8965 -0.3037
H 2.1940 0.1632 -0.2779
H 1.8565 -1.9975 0.2461
```

Going by the energies, arrangement B is most stable and the next is 147.6 kJ/mol up.

Arrangement A

Formula: C4H11N2O2
Source: OMol25
Level of theory: the ωB97M-V functional and the def2-TZVPD basis

Properties
**LUMO level**: -2.881 eV
**Net charge**: +1
**HOMO-LUMO gap**: 10.69 eV
**HOMO**: -13.57 eV

Structure (XYZ):
```
19
C4H11N2O2 (the ωB97M-V functional and the def2-TZVPD basis)
C 0.6948 -0.5428 -2.2629
C -0.2764 -0.2199 -1.1854
C -1.4764 -0.7676 -0.8354
N -2.0287 0.0709 0.1125
C -1.0934 0.8750 0.6041
N -0.0615 0.8137 -0.2707
H 1.4380 -1.2938 -1.9362
H 1.2874 0.2771 -2.6802
H 0.1685 -1.0995 -3.0437
H -2.0566 -1.5967 -1.1924
H -2.9245 -0.0779 0.5467
H -1.2191 1.4520 1.5112
H 0.8155 1.3389 -0.1860
H -0.0128 -1.5205 1.7774
H -0.9008 -1.8794 2.8409
O -0.8505 -1.1992 2.1483
H 3.5889 1.7347 1.1500
H 2.2615 1.7875 1.8921
O 2.6462 1.8475 1.0098
```

Arrangement B

Formula: C4H11N2O2
Source: OMol25
Level of theory: the ωB97M-V functional and the def2-TZVPD basis

Properties
**LUMO level**: -2.859 eV
**SMILES**: C[NH2+]CCN=C(O)O
**Net charge**: +1
**HOMO-LUMO gap**: 11.17 eV
**HOMO**: -14.03 eV

Structure (XYZ):
```
19
C4H11N2O2 (the ωB97M-V functional and the def2-TZVPD basis)
C 0.5818 -0.3559 -2.2530
N -0.7395 0.0022 -1.5543
C -1.0748 -0.9886 -0.4187
C -0.0674 -0.8323 0.6590
N 0.2480 0.6052 0.7228
C 0.4056 1.0798 1.8779
O 0.2734 0.2807 2.9309
O 0.7577 2.3303 2.0775
H 0.5088 -1.3406 -2.7059
H 1.2293 -0.4071 -1.3338
H 0.8838 0.3706 -2.8666
H -1.5029 0.2437 -2.1789
H -0.5152 0.8211 -0.8709
H -0.8915 -1.8658 -0.8845
H -2.0790 -0.8194 -0.1328
H -0.2698 -1.3217 1.5961
H 0.8911 -1.3022 0.3960
H 0.6733 0.6942 3.6756
H 0.6872 2.8057 1.2637
```

Going by the energies, arrangement A is most stable and the next is 110.5 kJ/mol up.

Arrangement A

Formula: C4H14N2O2
Source: OMol25
Level of theory: the ωB97M-V functional and the def2-TZVPD basis

Properties
**LUMO level**: 0.807 eV
**SMILES**: CN[C@@H](CN)CO.O
**Net charge**: 0
**HOMO-LUMO gap**: 9.95 eV
**HOMO**: -9.15 eV

Structure (XYZ):
```
22
C4H14N2O2 (the ωB97M-V functional and the def2-TZVPD basis)
C 2.3816 0.5269 2.1072
N 1.1768 -0.2993 2.0403
C 0.5875 -0.3843 0.7278
C 0.1429 -1.8027 0.3261
N 0.1880 -1.9419 -1.1318
C -0.6202 0.5485 0.6557
O -1.1037 0.6842 -0.6646
H 3.0729 0.3624 1.2662
H 2.8576 0.3309 3.0697
H 2.0894 1.5740 2.0744
H 1.4433 -1.2166 2.3861
H 1.2263 -0.0182 -0.0936
H -0.8792 -1.9768 0.6472
H 0.7728 -2.5302 0.8418
H -0.2235 -2.8136 -1.4290
H 1.1306 -1.8586 -1.4847
H -0.3421 1.5105 1.0820
H -1.4025 0.1276 1.3026
H -0.7885 -0.0615 -1.2006
O -2.4101 2.4283 -3.2513
H -2.0763 2.2272 -2.3694
H -3.2183 1.8988 -3.3651
```

Arrangement B

Formula: C4H14N2O2
Source: OMol25
Level of theory: the ωB97M-V functional and the def2-TZVPD basis

Properties
**LUMO level**: 0.685 eV
**SMILES**: CC/C(N)=C/N.O.O
**Net charge**: 0
**HOMO-LUMO gap**: 8.43 eV
**HOMO**: -7.75 eV

Structure (XYZ):
```
22
=====

### Assignment
Could you transcribe only the last part of the lines further above, starting with the line that has "2.3720 1.0347"?

### Here it is
H 2.3720 1.0347 -0.2486
H -1.1655 -1.0187 -1.0652
H -0.7319 -1.6107 0.6331
```

Arrangement B

Formula: C3H3NO2
Source: OMol25
Level of theory: the ωB97M-V functional and the def2-TZVPD basis

Properties
**LUMO level**: 0.453 eV
**SMILES**: O=C=N/C=C\O
**Net charge**: 0
**HOMO-LUMO gap**: 9.05 eV
**HOMO**: -8.60 eV

Structure (XYZ):
```
9
C3H3NO2 (the ωB97M-V functional and the def2-TZVPD basis)
O -3.2605 -0.2229 0.1683
C -2.2170 0.2505 -0.0021
N -1.2182 0.8757 -0.0106
C 0.1171 0.7739 -0.1971
C 1.1212 -0.1847 0.0657
O 0.9648 -1.5547 0.3114
H 0.4421 1.8965 -0.3037
H 2.1940 0.1632 -0.2779
H 1.8565 -1.9975 0.2461
```

Going by the energies, arrangement B is most stable and the next is 147.6 kJ/mol up.

Arrangement A

Formula: C4H11N2O2
Source: OMol25
Level of theory: the ωB97M-V functional and the def2-TZVPD basis

Properties
**LUMO level**: -2.881 eV
**Net charge**: +1
**HOMO-LUMO gap**: 10.69 eV
**HOMO**: -13.57 eV

Structure (XYZ):
```
19
C4H11N2O2 (the ωB97M-V functional and the def2-TZVPD basis)
C 0.6948 -0.5428 -2.2629
C -0.2764 -0.2199 -1.1854
C -1.4764 -0.7676 -0.8354
N -2.0287 0.0709 0.1125
C -1.0934 0.8750 0.6041
N -0.0615 0.8137 -0.2707
H 1.4380 -1.2938 -1.9362
H 1.2874 0.2771 -2.6802
H 0.1685 -1.0995 -3.0437
H -2.0566 -1.5967 -1.1924
H -2.9245 -0.0779 0.5467
H -1.2191 1.4520 1.5112
H 0.8155 1.3389 -0.1860
H -0.0128 -1.5205 1.7774
H -0.9008 -1.8794 2.8409
O -0.8505 -1.1992 2.1483
H 3.5889 1.7347 1.1500
H 2.2615 1.7875 1.8921
O 2.6462 1.8475 1.0098
```

Arrangement B

Formula: C4H11N2O2
Source: OMol25
Level of theory: the ωB97M-V functional and the def2-TZVPD basis

Properties
**LUMO level**: -2.859 eV
**SMILES**: C[NH2+]CCN=C(O)O
**Net charge**: +1
**HOMO-LUMO gap**: 11.17 eV
**HOMO**: -14.03 eV

Structure (XYZ):
```
19
C4H11N2O2 (the ωB97M-V functional and the def2-TZVPD basis)
C 0.5818 -0.3559 -2.2530
N -0.7395 0.0022 -1.5543
C -1.0748 -0.9886 -0.4187
C -0.0674 -0.8323 0.6590
N 0.2480 0.6052 0.7228
C 0.4056 1.0798 1.8779
O 0.2734 0.2807 2.9309
O 0.7577 2.3303 2.0775
H 0.5088 -1.3406 -2.7059
H 1.2293 -0.4071 -1.3338
H 0.8838 0.3706 -2.8666
H -1.5029 0.2437 -2.1789
H -0.5152 0.8211 -0.8709
H -0.8915 -1.8658 -0.8845
H -2.0790 -0.8194 -0.1328
H -0.2698 -1.3217 1.5961
H 0.8911 -1.3022 0.3960
H 0.6733 0.6942 3.6756
H 0.6872 2.8057 1.2637
```

Going by the energies, arrangement A is most stable and the next is 110.5 kJ/mol up.

Arrangement A

Formula: C4H14N2O2
Source: OMol25
Level of theory: the ωB97M-V functional and the def2-TZVPD basis

Properties
**LUMO level**: 0.807 eV
**SMILES**: CN[C@@H](CN)CO.O
**Net charge**: 0
**HOMO-LUMO gap**: 9.95 eV
**HOMO**: -9.15 eV

Structure (XYZ):
```
22
C4H14N2O2 (the ωB97M-V functional and the def2-TZVPD basis)
C 2.3816 0.5269 2.1072
N 1.1768 -0.2993 2.0403
C 0.5875 -0.3843 0.7278
C 0.1429 -1.8027 0.3261
N 0.1880 -1.9419 -1.1318
C -0.6202 0.5485 0.6557
O -1.1037 0.6842 -0.6646
H 3.0729 0.3624 1.2662
H 2.8576 0.3309 3.0697
H 2.0894 1.5740 2.0744
H 1.4433 -1.2166 2.3861
H 1.2263 -0.0182 -0.0936
H -0.8792 -1.9768 0.6472
H 0.7728 -2.5302 0.8418
H -0.2235 -2.8136 -1.4290
H 1.1306 -1.8586 -1.4847
H -0.3421 1.5105 1.0820
H -1.4025 0.1276 1.3026
H -0.7885 -0.0615 -1.2006
O -2.4101 2.4283 -3.2513
H -2.0763 2.2272 -2.3694
H -3.2183 1.8988 -3.3651
```

Arrangement B

Formula: C4H14N2O2
Source: OMol25
Level of theory: the ωB97M-V functional and the def2-TZVPD basis

Properties
**LUMO level**: 0.685 eV
**SMILES**: CC/C(N)=C/N.O.O
**Net charge**: 0
**HOMO-LUMO gap**: 8.43 eV
**HOMO**: -7.75 eV

Structure (XYZ):
```
22